• Contents:
<<<
Simulated X-ray diffraction stick pattern of Tb3Nd2Pb4 for λ = 1.5418 Å (Cu Kα), from the PBE geometry in Alexandria.

Cell and atoms:
abc: 8.5211 8.4807 8.2323
angles: 90.00 111.58 90.00
Sites, in units of the cell vectors:
Tb 0.0000 0.0000 0.0000
Tb 0.0000 0.5000 0.5000
Tb 0.2556 0.1604 0.7627
Tb 0.2556 0.3396 0.2627
Tb 0.7444 0.6604 0.7373
Tb 0.7444 0.8396 0.2373
Nd 0.3060 0.6795 0.9424
Nd 0.3060 0.8205 0.4424
Nd 0.6940 0.1795 0.5576
Nd 0.6940 0.3205 0.0576
Pb 0.0095 0.6404 0.1399
Pb 0.0095 0.8596 0.6399
Pb 0.4143 0.0398 0.1696
Pb 0.4143 0.4602 0.6696
Pb 0.5857 0.5398 0.3304
Pb 0.5857 0.9602 0.8304
Pb 0.9905 0.1404 0.3601
Pb 0.9905 0.3596 0.8601

The 8 most intense peaks (15° ≤ 2θ ≤ 90°), by intensity:
2theta  I (rel.)  hkl
29.9  100  2 2 -1
31.3  87  1 1 2
34.4  81  1 1 -3
30.9  58  2 2 0
33.8  51  0 3 1
30.4  50  1 2 -2
27.8  44  2 1 -2
33.4  36  3 0 -2

* * * * *

1.
For ErTlSe2, a PBE-relaxed structure gives the calculated X-ray powder pattern in this record (Cu Kα (weighted mean of Kα1 and Kα2)).
Neutral-atom scattering factors, no anomalous dispersion.

Structure:
```
ErTlSe2
1.0
4.160 0.000 0.000
-2.080 3.603 0.000
0.000 0.000 23.411
Er Tl Se
3 3 6
Cartesian
0.000 0.000 0.000
0.000 2.402 15.607
2.080 1.201 7.804
0.000 0.000 11.706
0.000 2.402 3.902
2.080 1.201 19.509
0.000 0.000 6.236
0.000 0.000 17.176
0.000 2.402 9.372
0.000 2.402 21.843
2.080 1.201 1.568
2.080 1.201 14.039
```

Most intense lines, 15° ≤ 2θ ≤ 90°, by intensity:
(hkl)	2theta	intensity
1 0 4	29.11	100
0 1 8	39.68	37
1 1 0	43.51	35
0 1 2	25.87	22
0 2 4	53.20	19
2 1 4	71.08	16
1 1 12	65.61	13
0 0 6	22.79	13
2 0 8	60.34	11
1 1 6	49.68	11

***

2.
For Er5Si4, a PBE-relaxed structure gives the calculated X-ray powder pattern in this record (Cu Kα (weighted mean of Kα1 and Kα2)).
Neutral-atom scattering factors, no anomalous dispersion.

Structure:
```
Er5Si4
1.0
7.358 0.000 0.000
0.000 14.419 0.000
0.000 0.000 7.633
Er Si
20 16
Cartesian
0.215 1.416 1.395
0.215 5.793 1.395
1.080 10.814 3.912
1.352 1.774 5.183
1.352 5.435 5.183
2.327 8.983 1.366
2.327 12.645 1.366
2.599 3.605 0.095
3.464 8.626 5.212
3.464 13.002 5.212
3.894 1.416 2.421
3.894 5.793 2.421
4.759 10.814 7.538
5.031 1.774 6.267
5.031 5.435 6.267
6.006 8.983 2.450
6.006 12.645 2.450
6.278 3.605 3.721
7.143 8.626 6.238
7.143 13.002 6.238
0.139 10.814 0.792
1.076 7.795 3.602
1.076 13.833 3.602
1.723 3.605 2.833
1.956 10.814 6.650
2.603 0.586 7.418
2.603 6.624 7.418
3.540 3.605 4.609
3.818 10.814 3.024
4.755 7.795 0.215
4.755 13.833 0.215
5.402 3.605 0.983
5.635 10.814 4.800
6.282 0.586 4.031
6.282 6.624 4.031
7.219 3.605 6.841
```

Most intense lines, 15° ≤ 2θ ≤ 90°, by intensity:
(hkl)	2theta	intensity
2 3 1	32.83	100
0 4 2	34.22	70
1 3 2	32.33	65
2 1 1	27.62	50
2 3 0	30.60	49
3 4 3	58.18	46
2 1 2	34.43	44
0 6 0	37.41	39
3 0 1	38.56	36
1 1 3	37.93	35

***

3.
For Er5Si4, a PBE-relaxed structure gives the calculated X-ray powder pattern in this record (Cu Kα (weighted mean of Kα1 and Kα2)).
Neutral-atom scattering factors, no anomalous dispersion.

Structure:
```
Er5Si4
1.0
14.457 0.000 0.000
0.000 7.599 0.000
-0.451 0.000 7.407
Er Si
20 16
Cartesian
1.213 1.372 3.669
0.988 2.428 7.373
1.450 5.059 4.776
1.675 6.340 1.073
3.186 0.037 6.118
3.411 3.762 2.414
5.155 5.150 4.985
5.380 6.249 1.282
5.535 1.393 3.869
5.760 2.406 0.165
8.247 5.193 7.241
8.472 6.206 3.538
8.626 1.351 6.125
8.852 2.449 2.422
10.595 3.837 4.992
10.821 7.562 1.289
12.331 1.260 6.334
12.557 2.540 2.630
13.019 5.172 0.034
12.793 6.227 3.737
0.469 4.066 2.199
0.244 7.333 5.902
3.547 0.993 1.561
3.322 2.807 5.264
3.213 4.618 7.071
3.438 6.781 3.368
6.475 4.013 2.613
6.249 7.386 6.316
7.757 0.213 1.091
7.532 3.587 4.794
10.568 0.818 4.039
10.794 2.981 0.335
10.685 4.793 2.142
10.460 6.606 5.845
13.763 0.266 1.505
13.537 3.534 5.208
```

Most intense lines, 15° ≤ 2θ ≤ 90°, by intensity:
(hkl)	2theta	intensity
3 1 -2	31.89	100
4 2 0	34.28	84
0 1 3	38.34	73
3 1 2	33.57	63
1 1 -2	27.19	56
3 2 1	32.80	50
4 0 0	24.68	37
4 3 -3	57.00	36
>>>

• Brief:
Find "25.87" and "0.215 5.793" in the lines above, and restate these two lines and those between, please.

• Solution:
0 1 2	25.87	22
0 2 4	53.20	19
2 1 4	71.08	16
1 1 12	65.61	13
0 0 6	22.79	13
2 0 8	60.34	11
1 1 6	49.68	11

***

2.
For Er5Si4, a PBE-relaxed structure gives the calculated X-ray powder pattern in this record (Cu Kα (weighted mean of Kα1 and Kα2)).
Neutral-atom scattering factors, no anomalous dispersion.

Structure:
```
Er5Si4
1.0
7.358 0.000 0.000
0.000 14.419 0.000
0.000 0.000 7.633
Er Si
20 16
Cartesian
0.215 1.416 1.395
0.215 5.793 1.395